It is no longer a surprise, the first expansion of The Sims will be released in April and will be dedicated at work. For the moment, only the career of doctor is revealed in detail, we have today the proof on the official site with the video trailer of the career as well as this article.
It will be possible to control every action of your Sims when you start a new career. We already know that the three new careers will be: Doctor, Detective and Scientist. You can already visualize a trailer of the profession of doctor which is for the moment the profession on which we have the most information.
Here's the typical day for a Doctor a Sim can experience when this expansion releases:
Banal day for our doctor Padma Arani
_Someone pasted materials data at this point_
Structure and theoretical powder diffraction line list of CsNa2AgCl4 (the PBE geometry in Alexandria; λ = 1.5418 Å (Cu Kα)).

Most intense lines, 10 to 90 degrees two-theta, sorted by position:
two_theta	d [Å]	I (rel.)	(hkl)
12.10	7.316	96	0 0 2
21.55	4.123	23	1 1 0
24.32	3.659	53	0 0 4
24.79	3.592	27	1 1 2
27.22	3.277	49	0 4 2
28.32	3.151	43	1 3 1
30.27	2.952	100	1 3 2
32.73	2.736	22	1 1 4
34.65	2.589	28	0 4 4
42.06	2.148	23	2 0 0

Cell and atoms:
Lattice parameters (Å, degrees): 4.296 14.663 14.630 90.00 90.00 90.00
Space group Cmcm (No. 63)
Asymmetric unit:
1 Cs 0.000 0.122 0.250
2 Na 0.000 0.375 0.046
3 Ag 0.000 0.155 0.750
4 Cl 0.000 0.000 0.000
5 Cl 0.000 0.253 0.605
6 Cl 0.000 0.442 0.250



Structure and theoretical powder diffraction line list of PaGa2Rh2 (the PBE geometry in Alexandria; λ = 1.5418 Å (Cu Kα)).

Most intense lines, 10 to 90 degrees two-theta, sorted by position:
two_theta	d [Å]	I (rel.)	(hkl)
18.90	4.696	16	1 1 1
26.96	3.307	86	0 0 4
33.26	2.694	100	2 0 2
37.55	2.395	52	0 4 0
38.00	2.368	23	1 3 3
38.50	2.338	38	1 1 5
46.85	1.939	17	0 4 4
47.23	1.924	24	1 3 5
51.02	1.790	60	2 4 2
51.79	1.765	30	2 0 6

Cell and atoms:
Lattice parameters (Å, degrees): 5.901 9.582 13.210 90.00 90.00 90.00
Space group Fddd (No. 70, origin choice 2)
Asymmetric unit:
1 Pa 0.125 0.125 0.125
2 Ga 0.125 0.125 0.528
3 Rh 0.125 0.371 0.625



Structure and theoretical powder diffraction line list of Cs2SiTc (the PBE geometry in Alexandria; λ = 1.5418 Å (Cu Kα)).

Most intense lines, 10 to 90 degrees two-theta, sorted by position:
two_theta	d [Å]	I (rel.)	(hkl)
14.13	6.267	62	2 0 0
20.04	4.431	25	2 2 0
20.23	4.389	99	1 0 1
28.49	3.133	100	4 0 0
28.63	3.118	42	3 0 1
35.19	2.550	49	4 1 1
40.72	2.216	37	4 4 0
40.83	2.210	48	5 0 1
41.13	2.194	32	2 0 2
50.79	1.798	35	4 2 2

Cell and atoms:
Lattice parameters (Å, degrees): 12.534 12.534 4.686 90.00 90.00 90.00
Space group I4_1/amd (No. 141, origin choice 2)
Asymmetric unit:
1 Cs 0.000 0.000 0.000
2 Si 0.000 0.250 0.375
3 Tc 0.000 0.250 0.875



Structure and theoretical powder diffraction line list of BaMn2PBr (the PBE geometry in Alexandria; λ = 1.5418 Å (Cu Kα)).

Most intense lines, 10 to 90 degrees two-theta, sorted by position:
two_theta	d [Å]	I (rel.)	(hkl)
18.65	4.757	100	1 0 0
26.50	3.364	23	1 1 0
28.62	3.119	69	0 0 2
30.19	2.961	70	1 1 1
34.38	2.608	44	1 0 2
37.83	2.378	64	2 0 0
42.49	2.127	24	2 1 0
48.11	1.891	62	2 0 2
52.04	1.757	27	2 1 2
62.75	1.481	35	2 2 2

Cell and atoms:
Lattice parameters (Å, degrees): 4.757 4.757 6.238 90.00 90.00 90.00
Space group P4/mmm (No. 123)
Asymmetric unit:
1 Ba 0.000 0.000 0.000
2 Mn 0.000 0.500 0.500
3 P 0.500 0.500 0.000
4 Br 0.000 0.000 0.500



Structure and theoretical powder diffraction line list of Cs2AcHf2S7 (the PBE geometry in Alexandria; λ = 1.5418 Å (Cu Kα)).

Most intense lines, 10 to 90 degrees two-theta, sorted by position:
two_theta	d [Å]	I (rel.)	(hkl)
24.02	3.705	100	1 0 5
25.20	3.534	56	1 1 0
32.44	2.760	14	0 0 10
35.93	2.499	40	2 0 0
_So much for the materials data_
It is 9 a.m. Doctor Padma Arani, general surgeon, takes a few steps towards the hospital kitchen to start her day.
Dr. Arani's first patient is waiting for him. This is a slightly overweight young adult who complains that he is not on his plate. It's nice to start the day with an easy case. Dr. Arani sends her first for an X-ray only as this is standard procedure. She then has him sit on the examination table to examine his eyes and ears, and take his temperature. Dr Arani is about to get more data for his diagnosis by getting his patient down on the treadmill when a pregnant woman suddenly arrives at the hospital.
The work has started! Dr. Arani is on call and quickly takes the woman to the operating table to deliver her baby. This is the very first time she has done this. It's terrifying, but the baby arrives happy and healthy. The baby and the mother are doing very well.
Oh no ! Dr Arani forgot his first patient! She puts him on the treadmill for a diagnosis. She gives him instructions until he's exhausted and a little thinner but ready for a diagnosis. It turns out that this is a relatively mild case of gas and giggles, which can be treated without much effort.
=====
Starting from DFT lattice parameters and positions (PBE+U), the X-ray powder pattern of Na2CoH8S2O12 was simulated for a wavelength of 1.5418 Å.

Top 12 peaks for 15 to 90 degrees two-theta, low angle first:
2theta, I (rel.)
16.57, 13
19.95, 44
20.54, 10
21.44, 26
22.72, 13
24.17, 12
27.34, 16
27.82, 100
28.22, 16
34.88, 22
40.26, 14
43.71, 14

Atomic structure:
Cell: 5.4117 8.0274 10.8652 Å, 90.00 99.72 90.00°
Space group P2_1/c (No. 14)
Asymmetric unit:
Na1 0.1217 0.0803 0.3620 [4 per cell]
Co1 0.0000 0.0000 0.0000 [2 per cell]
H1 0.2198 0.6469 0.3420 [4 per cell]
H2 0.2354 0.7158 0.0123 [4 per cell]
H3 0.2380 0.0506 0.8171 [4 per cell]
H4 0.3311 0.6996 0.6399 [4 per cell]
S1 0.3830 0.2104 0.6367 [4 per cell]
O1 0.1218 0.5411 0.3326 [4 per cell]
O2 0.1752 0.7185 0.5786 [4 per cell]
O3 0.2109 0.0812 0.5785 [4 per cell]
O4 0.3311 0.1258 0.0743 [4 per cell]
O5 0.3508 0.6657 0.8713 [4 per cell]
O6 0.3674 0.2249 0.7732 [4 per cell]


# 1
LaYFe2Si2: theoretical powder XRD pattern (a wavelength of 1.5418 Å), based on DFT lattice parameters and positions (PBE).

Cell and atoms:
Cell lengths 4.0677, 4.0677, 6.7879 Å; angles 90.00, 90.00, 90.00 degrees
Space group P4mm (No. 99)
Inequivalent atoms, fractional coordinates:
La  0.0000  0.0000  0.0000 x1
Y  0.5000  0.5000  0.3679 x1
Fe  0.0000  0.5000  0.6668 x2
Si  0.0000  0.0000  0.5007 x1
Si  0.5000  0.5000  0.8355 x1

Peak list (10 most intense, 15° ≤ 2θ ≤ 90°, by angle)
| hkl | 2theta | d [Å] | intensity |
| --- | --- | --- | --- |
| 1 0 1 | 25.5 | 3.489 | 100 |
| 1 1 0 | 31.1 | 2.876 | 33 |
| 1 1 1 | 33.8 | 2.648 | 68 |
| 1 0 2 | 34.4 | 2.606 | 88 |
| 1 1 2 | 41.1 | 2.194 | 97 |
| 2 0 0 | 44.5 | 2.034 | 70 |
| 2 1 1 | 52.0 | 1.757 | 29 |
| 2 1 2 | 57.5 | 1.603 | 39 |
| 1 0 4 | 59.0 | 1.566 | 28 |
| 3 1 2 | 79.7 | 1.203 | 26 |


# 2
PrZr: theoretical powder XRD pattern (a wavelength of 1.5418 Å), based on DFT lattice parameters and positions (PBE).

Cell and atoms:
Cell lengths 6.8425, 5.5152, 9.3681 Å; angles 90.00, 100.60, 90.00 degrees
Space group P2_1/m (No. 11)
Inequivalent atoms, fractional coordinates:
Pr  0.0219  0.2500  0.1173 x2
Pr  0.3105  0.7500  0.2491 x2
Pr  0.4615  0.7500  0.8729 x2
Zr  0.1267  0.7500  0.5536 x2
Zr  0.1775  0.2500  0.7403 x2
Zr  0.3505  0.2500  0.4608 x2

Peak list (10 most intense, 15° ≤ 2θ ≤ 90°, by angle)
| hkl | 2theta | d [Å] | intensity |
| --- | --- | --- | --- |
| 0 1 2 | 25.2 | 3.534 | 12 |
| 2 0 1 | 29.9 | 2.988 | 28 |
| 0 2 0 | 32.5 | 2.758 | 42 |
| 0 1 3 | 33.4 | 2.682 | 53 |
| 2 1 -2 | 34.1 | 2.628 | 100 |
| 2 2 1 | 44.7 | 2.027 | 18 |
| 2 0 -5 | 52.1 | 1.756 | 15 |
| 2 3 -2 | 59.0 | 1.566 | 20 |
| 2 2 4 | 62.8 | 1.480 | 13 |
| 4 1 2 | 64.6 | 1.442 | 15 |


Calculated powder diffraction line list
Compound: CaHg2F8
Radiation: Cu Kα X-rays
Structure: a PBE-relaxed structure
Peak positions follow from Bragg's law for the DFT cell and can differ from measured ones.

Structure:
a = 5.709 Å, b = 5.709 Å, c = 11.033 Å
α = 90.00°, β = 90.00°, γ = 90.00°
=====
It is now afternoon. A few more cups of coffee and a quick meal in the kitchen gave Dr. Arani a boost. She has an important operation to perform on the new operating table. The operation is long and intense, and rather complicated, but this is her specialty: she is known to remove all kinds of vital spongy organs better than anyone in the hospital!
Unrelated to this page: calculated crystals:
<<<
No. 1
Structure and calculated powder XRD pattern of La4NdDy7 (DFT lattice parameters and positions (PBE); Cu Ka).
Neutral-atom scattering factors, no anomalous dispersion.

Largest 8 diffraction maxima, sorted by position, 10° ≤ 2θ ≤ 90°:
30.19°, d = 2.960 Å, rel. 1000; 30.40°, d = 2.940 Å, rel. 326; 35.06°, d = 2.559 Å, rel. 672; 50.29°, d = 1.814 Å, rel. 243; 50.57°, d = 1.805 Å, rel. 237; 59.78°, d = 1.547 Å, rel. 144; 59.91°, d = 1.544 Å, rel. 285; 60.15°, d = 1.538 Å, rel. 140

Lattice parameters (Å, degrees): 3.6286 3.6286 35.2820 90.00 90.00 120.00
Positions (direct):
La (0.3333, 0.6667, 0.1669)
La (0.3333, 0.6667, 0.4162)
La (0.6667, 0.3333, 0.5838)
La (0.6667, 0.3333, 0.8331)
Nd (0.0000, 0.0000, 0.0000)
Dy (0.0000, 0.0000, 0.2513)
Dy (0.0000, 0.0000, 0.5000)
Dy (0.0000, 0.0000, 0.7487)
Dy (0.3333, 0.6667, 0.6682)
Dy (0.3333, 0.6667, 0.9174)
Dy (0.6667, 0.3333, 0.0826)
Dy (0.6667, 0.3333, 0.3318)


No. 2
Structure and calculated powder XRD pattern of La10Nd4Dy (DFT lattice parameters and positions (PBE); Cu Ka).
Neutral-atom scattering factors, no anomalous dispersion.

Largest 8 diffraction maxima, sorted by position, 10° ≤ 2θ ≤ 90°:
26.57°, d = 3.355 Å, rel. 272; 26.90°, d = 3.314 Å, rel. 1000; 29.45°, d = 3.033 Å, rel. 615; 32.68°, d = 2.740 Å, rel. 797; 35.91°, d = 2.501 Å, rel. 305; 51.68°, d = 1.769 Å, rel. 326; 51.87°, d = 1.763 Å, rel. 448; 70.42°, d = 1.337 Å, rel. 383

Lattice parameters (Å, degrees): 8.8788 8.8788 8.8788 106.61 106.61 115.35
Positions (direct):
La (0.0259, 0.0259, 0.7030)
La (0.0259, 0.3229, 0.0000)
La (0.2500, 0.7500, 0.5000)
La (0.3229, 0.0259, 0.0000)
La (0.3229, 0.3229, 0.2970)
La (0.6771, 0.6771, 0.7030)
La (0.6771, 0.9741, 0.0000)
La (0.7500, 0.2500, 0.5000)
La (0.9741, 0.6771, 0.0000)
La (0.9741, 0.9741, 0.2970)
Nd (0.2026, 0.5000, 0.7026)
Nd (0.5000, 0.2026, 0.7026)
Nd (0.5000, 0.7974, 0.2974)
Nd (0.7974, 0.5000, 0.2974)
Dy (0.5000, 0.5000, 0.0000)


No. 3
Structure and calculated powder XRD pattern of La8Nd5Dy (DFT lattice parameters and positions (PBE); Cu Ka).
Neutral-atom scattering factors, no anomalous dispersion.

Largest 8 diffraction maxima, sorted by position, 10° ≤ 2θ ≤ 90°:
27.34°, d = 3.262 Å, rel. 758; 28.22°, d = 3.162 Å, rel. 771; 28.33°, d = 3.150 Å, rel. 910; 30.70°, d = 2.912 Å, rel. 285; 32.82°, d = 2.729 Å, rel. 1000; 33.29°, d = 2.691 Å, rel. 535; 33.57°, d = 2.670 Å, rel. 582; 53.07°, d = 1.726 Å, rel. 362

Lattice parameters (Å, degrees): 8.7426 8.7426 8.7426 110.54 110.54 107.36
Positions (direct):
La (0.0751, 0.6824, 0.7676)
La (0.1727, 0.2741, 0.7621)
La (0.3176, 0.0852, 0.3927)
La (0.5120, 0.4106, 0.2379)
La (0.5894, 0.8273, 0.1014)
La (0.6926, 0.9249, 0.6073)
La (0.7259, 0.4880, 0.8986)
La (0.9148, 0.3074, 0.2324)
Nd (0.2231, 0.6203, 0.1924)
Nd (0.3797, 0.5720, 0.6027)
Nd (0.4280, 0.0307, 0.8076)
Nd (0.7500, 0.2500, 0.5000)
Nd (0.9693, 0.7769, 0.3973)
Dy (0.0000, 0.0000, 0.0000)


No. 4
>>>
The day ends, fortunately without a home visit to make. As a high-level surgeon, Dr. Arani sometimes has to leave the hospital to care for Sims in the neighborhood. Usually she doesn't mind, but today she is so exhausted from her day's activities that she is delighted to be able to go straight home.
We can see that the profession of doctor will require finding a balance between the needs of patients and their own needs as well as between the daily life of their hospital. Many devices will also be available for diagnostics. This promises to be very exciting and highly developed!
Next week, more information will be unveiled on the job of a detective.
So, are you ready to become the perfect doctor?